
Crisis Preparation Quotes

There are 68 quotes

"In an adjustment reaction, anything you do before the crisis hits is going to feel like an extreme overreaction, but in hindsight, you'll understand it was a complete underreaction."
"We are on the brink of a potentially enormous humanitarian crisis."
"My children, stay together more than before, help one another because soon everything will be lost."
"Prepare now before you find yourself in a desperate situation."
"We really prepare for the worst possible scenario."
"Gold was built for this scenario, gold was built for this moment in time."
"We had only like nine months to prepare for it."
"Bad things are coming, and I believe the only thing we can do is prepare."
"You want to know how well your plan would survive when you hit turmoil and chaos."
"Time is running out... to really minimally secure your food, your water, and your energy sources."
"Smart people are going to get ready for this. It doesn't matter what your wealth or income level is. If you're getting ready, you're going to absolutely dominate."
"It's not just about understanding how SHTF is going to play out, it's about understanding human nature."
"These are the people who are going to survive when the [ __ ] goes down."
"This fraud cannot continue; it is collapsing, and this is the peak of it all."
"If the grid's under attack, my advice to you: get out of the cities, get some animals, become self-sufficient."
"Many of the crises that we're looking for to come in the future, they are already here."
"They could have been planning for this, they could have been producing personal protective equipment, they could have been ramping up testing capacity, they could have been building ventilators, and they didn't, and that was a political decision."
"Canada went into this crisis with a far better fiscal position than just about any other G7 country."
"Do everything you can to limit your exposure to all this craziness."
"Develop self-sufficiency skills; lessons from history show that knowing how to grow food, purify water, and provide basic medical care can be invaluable during long-term crisis."
"Don't wait for another crisis to happen for you to map out your next 5, 10, 15 moves."
"Retain your humanity. What are we prepping for if we go through a major crisis and humanity is no more?"
"Hope for the best and prepare for the worst."
"I hope it never gets to that point, but you gotta reconnect with your family. When all of this technology and all of this stuff, you're gonna have to get in the bunkers with people you love and trust."
"The system is about to collapse, brace yourselves. Get your flashlights, get your solar packs, all right, get your tools and instruments."
"The attack on the financial system, the global attack, is already being wargamed."
"Even when the grid goes down and the world is going crazy, my home and my family are the most important thing to me."
"Detachment from all created good because when the chastisement hits, they're not going to be available."
"A bottle of water will be worth so much more than literally anything else."
"It's not a question of if this will happen... but when this will happen."
"Prepare accordingly, the tsunami has just arrived but it is going to get much more intense."
"We haven't reached that real fear like we did in 2007-08 yet... it's a perfect time to get ahead." - Adriana Reid
"Holster comes in it's not just a symbol of self-defense but of preparedness much like the unfortunate situation in Florida where a lack of control LED to irreversible consequences."
"Prepare for the worst because we are living on the conditions that you could have never invented."
"If we go into World War Three then I'm gonna want a more reliable asset."
"So the question is what can you do in the next 90 days to prepare for just some craziness that's coming over the next 90 days okay number one you're gonna take profits if it makes sense very key is if it makes sense."
"We might want to kind of start preparing for just in case."
"The physical transfer of a commodity that is worth something intrinsically valuable between two parties... I don't see it going away. I still see it having a use if it ever comes to that. I pray to God it doesn't come to that."
"When the trucks and trains stop running, what will you do then?"
"Never been a more important time to hold real money historical money not to get rich but to get out of the way of what's coming."
"Your community is a huge form of wealth that you need to be developing right now because it will survive the dollar collapse and the financial collapse and the everything else."
"This is serious because this is we are going into some Charter territory... hopefully taking us into deep water and drowning us."
"Once we start to see these lines in the sand get crossed, that's really when everybody needs to say okay, do I have everything that I need?"
"Do not fear the final test, don't fear the final crisis, just prepare spiritually, physically, and then brace yourself for it. But don't fear the final crisis, don't treat the final crisis as you treat a literal exam when you went to school."
"We must have the experience of a woman in travail, we have to brace ourselves for this crisis, but praise God, once the crisis comes, there is strength available, and once Jesus comes, we won't remember the crisis."
"Build self-reliance for peace of mind in times of crisis."
"Every 80 years we go through a world war and the people who weren't in the war are now in the war... So the way we prepare for these kind of things is to become more familiar with ourselves and our power."
"Prepare, and whenever that event occurs, you'll be ready."
"Are you really prepared to lose your job or survive a financial crisis?"
"We're really at a loss right now... Optimism had dwindled. Actually, we were all preparing ourselves for the worst."
"There literally is a tiny tiny window left for people to protect themselves before all hell breaks loose."
"Make sure that you are preparing because there is something coming to America."
"I want to make sure that we're prepared for all possible outcomes. And one of those outcomes, that may happen, and I hope it doesn't, is that the Taliban do come to power."
"Now is the time... especially if you haven't done so in the last 10 years."
"If the supply chain breaks down, I still can feed my family with fruit trees or what have you."
**These materials data were left in the page by mistake:**
-- begin --
This record from Alexandria via LeMat-Bulk describes a relaxed structure of Sc2Hg2Bi. The functional is PBE-GGA. Values from VASP.

Properties
Crystal system = monoclinic
Calculated volume = 120.7 Å³ per cell
Formation energy from the elements = -369 meV per atom
Magnetic moment = 0.0 μB per formula unit
Energy above the most stable polymorph in this dataset = 0.00 kcal/mol of atoms
SG = C2/m, No. 12

The structure in Quantum ESPRESSO input format:
```
&SYSTEM
  ibrav = 0, nat = 5, ntyp = 3
/
ATOMIC_SPECIES
Sc 44.96 Sc.upf
Hg 200.59 Hg.upf
Bi 208.98 Bi.upf
CELL_PARAMETERS angstrom
-3.7073 -2.6278 -1.3900
2.6685 2.2546 -3.2214
3.1388 -5.5700 2.1814
ATOMIC_POSITIONS crystal
Sc 0.0920 0.1849 0.7770
Sc 0.9080 0.8151 0.2230
Hg 0.6886 0.3777 0.5662
Hg 0.3114 0.6223 0.4338
Bi 0.5000 0.0000 0.0000
```



This record from Alexandria via LeMat-Bulk describes a relaxed structure of PmZnNi. The functional is PBE-GGA. Values from VASP.

Properties
Crystal system = tetragonal
Calculated volume = 56.6 Å³ per cell
Formation energy from the elements = -214 meV per atom
Magnetic moment = 0.0 μB per formula unit
Energy above the most stable polymorph in this dataset = 4.21 kcal/mol of atoms
SG = I4mm, No. 107

The structure in Quantum ESPRESSO input format:
```
&SYSTEM
  ibrav = 0, nat = 3, ntyp = 3
/
ATOMIC_SPECIES
Ni 58.69 Ni.upf
Zn 65.41 Zn.upf
Pm 145.00 Pm.upf
CELL_PARAMETERS angstrom
3.3607 0.0000 0.0000
0.0000 3.3607 0.0000
-1.6803 -1.6803 5.0130
ATOMIC_POSITIONS crystal
Ni 0.3102 0.3102 0.6203
Zn 0.9158 0.9158 0.8315
Pm 0.6241 0.6241 0.2481
```



This record from Alexandria via LeMat-Bulk describes a relaxed structure of PrErLuSn. The functional is PBE-GGA. Values from VASP.

Properties
Crystal system = cubic
Calculated volume = 113.8 Å³ per cell
Formation energy from the elements = -233 meV per atom
Magnetic moment = 0.0 μB per formula unit
SG = F-43m, No. 216

The structure in Quantum ESPRESSO input format:
```
&SYSTEM
  ibrav = 0, nat = 4, ntyp = 4
/
ATOMIC_SPECIES
Pr 140.91 Pr.upf
Lu 174.97 Lu.upf
Sn 118.71 Sn.upf
Er 167.26 Er.upf
CELL_PARAMETERS angstrom
5.4392 0.0000 0.0000
2.7196 4.7105 0.0000
2.7196 1.5702 4.4411
ATOMIC_POSITIONS crystal
Pr 0.5000 0.5000 0.5000
Lu 0.7500 0.7500 0.7500
Sn 0.2500 0.2500 0.2500
Er 0.0000 0.0000 0.0000
```

----------

(1)
Tm6CuHg2, relaxed, DFT PBE; density of states at the Fermi level = 19.00 states/eV per cell; SG = No. 14; calculated formation energy = -0.164 eV/atom
1.0
6.712 0.000 0.512
0.000 7.284 0.000
-0.076 0.000 10.068
Tm Hg Cu
12 4 2
Direct
0.685 0.175 0.950
0.315 0.825 0.050
0.650 0.191 0.552
0.139 0.014 0.753
0.861 0.986 0.247
0.185 0.325 0.450
0.150 0.309 0.052
0.850 0.691 0.948
0.350 0.809 0.448
0.815 0.675 0.550
0.361 0.514 0.747
0.639 0.486 0.253
0.564 0.890 0.758
0.436 0.110 0.242
0.936 0.390 0.742
0.064 0.610 0.258
0.000 0.000 0.500
0.500 0.500 0.000

---

(2)
-- stop --
**Back to the page:**
"Watching these markets today, it's a joke, it's laughable, absolutely laughable, look at the real news, look at the real data, look at what's happening to real people, this is a disaster and you better get ready for it."
"The shit's hitting the fan so I hope you're preparing preparing for a long cold winter at least here in North America."
"Ultimately then what can people do to prepare for whatever's coming?"
"Make your life easy folks because this is going to be a massive cluster F when it comes time to actually get forgiveness otherwise."
"We're truly able to benefit from it, so that when that crisis comes, we don't lose something essential within us."
"We cannot do in a time of crisis what we have not practiced in a time of calm."
"Growing your own food in times of crisis like these is becoming more important than it ever has."
"Preparation is key to be as proactive as possible when a crisis hits."
"Physical metals... you definitely need to have in the event of such a crisis."